Work order >
It remains to copy everything further down word for word.

File >
'''
# 1
Cs2AgAsO4: simulated powder XRD pattern (CuKα), based on a GGA-PBE-relaxed structure.
No peak broadening, texture or thermal motion is included.

Peak list (8 most intense, 2θ from 15° to 90°, sorted by position)
| index | two_theta | I (rel.) |
| --- | --- | --- |
| 1 1 3 | 20.81 | 55 |
| 0 2 6 | 28.59 | 100 |
| 0 4 0 | 28.77 | 46 |
| 1 3 3 | 29.19 | 36 |
| 1 3 5 | 33.64 | 28 |
| 2 2 0 | 33.89 | 63 |
| 2 0 6 | 39.66 | 48 |
| 2 4 6 | 49.73 | 42 |

Crystal structure
Lattice parameters (Å, degrees): 5.8477 12.4116 21.6752 90.00 90.00 90.00
Space group Fddd (No. 70, origin choice 2)
Unique sites:
Cs1 0.1250 0.1250 0.3011 [16 per cell]
Ag1 0.1250 0.1250 0.1250 [8 per cell]
As1 0.1250 0.1250 0.6250 [8 per cell]
O1 0.0522 0.2924 0.8312 [32 per cell]


# 2
Cs2AgAsS4: simulated powder XRD pattern (CuKα), based on a GGA-PBE-relaxed structure.
No peak broadening, texture or thermal motion is included.

Peak list (8 most intense, 2θ from 15° to 90°, sorted by position)
| index | two_theta | I (rel.) |
| --- | --- | --- |
| 1 -1 1 | 23.13 | 73 |
| 1 0 -2 | 23.70 | 67 |
| 1 2 1 | 24.77 | 100 |
| 2 1 2 | 26.94 | 54 |
| 2 0 0 | 27.86 | 100 |
| 0 1 -3 | 30.69 | 40 |
| 1 1 4 | 31.11 | 48 |
| 0 2 3 | 32.01 | 48 |

Crystal structure
Lattice parameters (Å, degrees): 6.9667 7.3354 11.6193 72.34 72.86 70.35
Space group P-1 (No. 2)
Unique sites:
Cs1 0.2433 0.2683 0.0966 [2 per cell]
Cs2 0.2571 0.0272 0.6821 [2 per cell]
Ag1 0.1279 0.5982 0.5852 [2 per cell]
As1 0.3647 0.6308 0.2742 [2 per cell]
S1 0.2427 0.8510 0.3899 [2 per cell]
S2 0.2515 0.7614 0.1037 [2 per cell]
S3 0.2626 0.3601 0.3799 [2 per cell]
S4 0.2880 0.4510 0.7706 [2 per cell]


# 3
CsAgAsSe3: simulated powder XRD pattern (CuKα), based on a GGA-PBE-relaxed structure.
No peak broadening, texture or thermal motion is included.

Peak list (8 most intense, 2θ from 15° to 90°, sorted by position)
| index | two_theta | I (rel.) |
| --- | --- | --- |
| 0 0 2 | 22.06 | 34 |
| 4 0 -1 | 26.85 | 61 |
| 2 2 0 | 27.16 | 75 |
| 2 2 -1 | 27.33 | 100 |
| 2 0 -3 | 31.24 | 37 |
| 0 4 0 | 46.98 | 26 |
| 6 2 -1 | 47.52 | 56 |
| 2 2 -4 | 48.37 | 38 |

Crystal structure
Lattice parameters (Å, degrees): 13.2899 7.7363 8.6243 90.00 110.85 90.00
Space group C2/m (No. 12)
Unique sites:
Cs1 0.1960 0.0000 0.2244 [4 per cell]
Ag1 0.0000 0.2424 0.5000 [4 per cell]
As1 0.0243 0.5000 0.1581 [4 per cell]
Se1 0.0672 0.2458 0.8085 [8 per cell]
Se2 0.2072 0.5000 0.2899 [4 per cell]


# 4
CuAg2As2: simulated powder XRD pattern (CuKα), based on a GGA-PBE-relaxed structure.
No peak broadening, texture or thermal motion is included.

Peak list (8 most intense, 2θ from 15° to 90°, sorted by position)
| index | two_theta | I (rel.) |
| --- | --- | --- |
| 2 0 0 | 27.89 | 13 |
| 2 0 1 | 34.31 | 27 |
| 2 1 1 | 37.16 | 100 |
| 0 0 2 | 39.71 | 28 |
| 3 1 0 | 44.82 | 24 |
| 3 1 2 | 61.41 | 18 |
| 4 1 1 | 63.38 | 17 |
| 2 1 3 | 70.40 | 14 |

Crystal structure
Lattice parameters (Å, degrees): 6.3946 6.3946 4.5394 90.00 90.00 90.00
Space group P4/mbm (No. 127)
Unique sites:
Cu1 0.0000 0.0000 0.0000 [2 per cell]
Ag1 0.1810 0.3190 0.5000 [4 per cell]
As1 0.1434 0.6434 0.0000 [4 per cell]


# 5
Cu2AgAs: simulated powder XRD pattern (CuKα), based on a GGA-PBE-relaxed structure.
No peak broadening, texture or thermal motion is included.

Peak list (8 most intense, 2θ from 15° to 90°, sorted by position)
| index | two_theta | I (rel.) |
| --- | --- | --- |
| 1 1 1 | 37.98 | 100 |
| 2 0 -2 | 38.69 | 47 |
| 4 0 0 | 43.88 | 33 |
| 2 0 2 | 46.02 | 27 |
| 3 1 -1 | 46.24 | 57 |
| 1 1 -3 | 63.53 | 19 |
| 5 1 1 | 70.95 | 14 |
| 2 2 -2 | 76.17 | 12 |

Crystal structure
Lattice parameters (Å, degrees): 8.3995 2.9631 5.0544 90.00 100.70 90.00
Space group C2/m (No. 12)
Unique sites:
Cu1 0.2452 0.0000 0.2244 [4 per cell]
Ag1 0.0000 0.0000 0.5000 [2 per cell]
As1 0.0000 0.5000 0.0000 [2 per cell]


# 6
Cu2AgAs4: simulated powder XRD pattern (CuKα), based on a GGA-PBE-relaxed structure.
No peak broadening, texture or thermal motion is included.
'''

Response >
# 1
Cs2AgAsO4: simulated powder XRD pattern (CuKα), based on a GGA-PBE-relaxed structure.
No peak broadening, texture or thermal motion is included.

Peak list (8 most intense, 2θ from 15° to 90°, sorted by position)
| index | two_theta | I (rel.) |
| --- | --- | --- |
| 1 1 3 | 20.81 | 55 |
| 0 2 6 | 28.59 | 100 |
| 0 4 0 | 28.77 | 46 |
| 1 3 3 | 29.19 | 36 |
| 1 3 5 | 33.64 | 28 |
| 2 2 0 | 33.89 | 63 |
| 2 0 6 | 39.66 | 48 |
| 2 4 6 | 49.73 | 42 |

Crystal structure
Lattice parameters (Å, degrees): 5.8477 12.4116 21.6752 90.00 90.00 90.00
Space group Fddd (No. 70, origin choice 2)
Unique sites:
Cs1 0.1250 0.1250 0.3011 [16 per cell]
Ag1 0.1250 0.1250 0.1250 [8 per cell]
As1 0.1250 0.1250 0.6250 [8 per cell]
O1 0.0522 0.2924 0.8312 [32 per cell]


# 2
Cs2AgAsS4: simulated powder XRD pattern (CuKα), based on a GGA-PBE-relaxed structure.
No peak broadening, texture or thermal motion is included.

Peak list (8 most intense, 2θ from 15° to 90°, sorted by position)
| index | two_theta | I (rel.) |
| --- | --- | --- |
| 1 -1 1 | 23.13 | 73 |
| 1 0 -2 | 23.70 | 67 |
| 1 2 1 | 24.77 | 100 |
| 2 1 2 | 26.94 | 54 |
| 2 0 0 | 27.86 | 100 |
| 0 1 -3 | 30.69 | 40 |
| 1 1 4 | 31.11 | 48 |
| 0 2 3 | 32.01 | 48 |

Crystal structure
Lattice parameters (Å, degrees): 6.9667 7.3354 11.6193 72.34 72.86 70.35
Space group P-1 (No. 2)
Unique sites:
Cs1 0.2433 0.2683 0.0966 [2 per cell]
Cs2 0.2571 0.0272 0.6821 [2 per cell]
Ag1 0.1279 0.5982 0.5852 [2 per cell]
As1 0.3647 0.6308 0.2742 [2 per cell]
S1 0.2427 0.8510 0.3899 [2 per cell]
S2 0.2515 0.7614 0.1037 [2 per cell]
S3 0.2626 0.3601 0.3799 [2 per cell]
S4 0.2880 0.4510 0.7706 [2 per cell]


# 3
CsAgAsSe3: simulated powder XRD pattern (CuKα), based on a GGA-PBE-relaxed structure.
No peak broadening, texture or thermal motion is included.

Peak list (8 most intense, 2θ from 15° to 90°, sorted by position)
| index | two_theta | I (rel.) |
| --- | --- | --- |
| 0 0 2 | 22.06 | 34 |
| 4 0 -1 | 26.85 | 61 |
| 2 2 0 | 27.16 | 75 |
| 2 2 -1 | 27.33 | 100 |
| 2 0 -3 | 31.24 | 37 |
| 0 4 0 | 46.98 | 26 |
| 6 2 -1 | 47.52 | 56 |
| 2 2 -4 | 48.37 | 38 |

Crystal structure
Lattice parameters (Å, degrees): 13.2899 7.7363 8.6243 90.00 110.85 90.00
Space group C2/m (No. 12)
Unique sites:
Cs1 0.1960 0.0000 0.2244 [4 per cell]
Ag1 0.0000 0.2424 0.5000 [4 per cell]
As1 0.0243 0.5000 0.1581 [4 per cell]
Se1 0.0672 0.2458 0.8085 [8 per cell]
Se2 0.2072 0.5000 0.2899 [4 per cell]


# 4
CuAg2As2: simulated powder XRD pattern (CuKα), based on a GGA-PBE-relaxed structure.
No peak broadening, texture or thermal motion is included.

Peak list (8 most intense, 2θ from 15° to 90°, sorted by position)
| index | two_theta | I (rel.) |
| --- | --- | --- |
| 2 0 0 | 27.89 | 13 |
| 2 0 1 | 34.31 | 27 |
| 2 1 1 | 37.16 | 100 |
| 0 0 2 | 39.71 | 28 |
| 3 1 0 | 44.82 | 24 |
| 3 1 2 | 61.41 | 18 |
| 4 1 1 | 63.38 | 17 |
| 2 1 3 | 70.40 | 14 |

Crystal structure
Lattice parameters (Å, degrees): 6.3946 6.3946 4.5394 90.00 90.00 90.00
Space group P4/mbm (No. 127)
Unique sites:
Cu1 0.0000 0.0000 0.0000 [2 per cell]
Ag1 0.1810 0.3190 0.5000 [4 per cell]
As1 0.1434 0.6434 0.0000 [4 per cell]


# 5
Cu2AgAs: simulated powder XRD pattern (CuKα), based on a GGA-PBE-relaxed structure.
No peak broadening, texture or thermal motion is included.

Peak list (8 most intense, 2θ from 15° to 90°, sorted by position)
| index | two_theta | I (rel.) |
| --- | --- | --- |
| 1 1 1 | 37.98 | 100 |
| 2 0 -2 | 38.69 | 47 |
| 4 0 0 | 43.88 | 33 |
| 2 0 2 | 46.02 | 27 |
| 3 1 -1 | 46.24 | 57 |
| 1 1 -3 | 63.53 | 19 |
| 5 1 1 | 70.95 | 14 |
| 2 2 -2 | 76.17 | 12 |

Crystal structure
Lattice parameters (Å, degrees): 8.3995 2.9631 5.0544 90.00 100.70 90.00
Space group C2/m (No. 12)
Unique sites:
Cu1 0.2452 0.0000 0.2244 [4 per cell]
Ag1 0.0000 0.0000 0.5000 [2 per cell]
As1 0.0000 0.5000 0.0000 [2 per cell]


# 6
Cu2AgAs4: simulated powder XRD pattern (CuKα), based on a GGA-PBE-relaxed structure.
No peak broadening, texture or thermal motion is included.